
A 74-year-old woman presented with bilateral lower extremity swelling, worsening dyspnea on exertion, and mild hemoptysis. An echocardiogram at time of admission showed a mass in the right ventricle. The pathology of a sample obtained via transvenous biopsy was consistent with squamous cell carcinoma; no primary source could initially be identified. Severe thrombocytopenia, likely consumptive, precluded surgical intervention, so the patient underwent palliative radiation. Unfortunately, she developed fatal respiratory failure. Upon autopsy, the bladder was found to contain polyps of invasive squamous cell carcinoma, similar in morphology to the tumor mass in the heart. Her lungs contained multiple tumor emboli at different stages, which was likely the final cause of her death. Squamous cell carcinoma metastases to the endocardium are extremely rare and without defined treatment. Surgery can improve prognosis in those with primary tumors that are benign or without metastases. In those with symptomatic metastatic tumors, palliative debulking can done although generally will not improve prognosis. It is currently unknown whether radiation improves survival. In this case, irradiation did destroy a portion of the tumor as the final pathology showed extensive necrosis of the tumor; unfortunately, it did not change her symptoms and did not change the final outcome.

1. Introduction

Squamous cell carcinomas metastases to the endocardium are rare and, when occurring as a right ventricular mass, can present with right ventricular outflow tract obstructive symptoms and can also shed emboli into the pulmonary circulation [1]. Here we discuss a case of a patient who presented with right heart failure and pulmonary emboli, whose ultimate diagnosis was metastatic squamous cell carcinoma of the bladder. In the past twenty years, there have been only two reports of squamous cell carcinoma in the heart that originated from the bladder [2, 3]; this is the first case of the cardiac mass being the presenting symptom.

The page is interrupted by crystal structures:
/*
[1]
# Mg6SnBiO8, relaxed, DFT PBE
data_Mg6SnBiO8
_space_group_name_H-M_alt 'P 4/m m m'
_space_group_IT_number 123
_space_group_name_Hall '-P 4 2'
_cell_length_a 4.646
_cell_length_b 4.646
_cell_length_c 9.230
_cell_angle_alpha 90.00
_cell_angle_beta 90.00
_cell_angle_gamma 90.00
loop_
_atom_site_label
_atom_site_type_symbol
_atom_site_fract_x
_atom_site_fract_y
_atom_site_fract_z
Mg1 Mg 0.000 0.000 0.000
Mg2 Mg 0.000 0.000 0.500
Mg3 Mg 0.000 0.500 0.244
Sn1 Sn 0.500 0.500 0.000
Bi1 Bi 0.500 0.500 0.500
O1 O 0.000 0.000 0.246
O2 O 0.000 0.500 0.000
O3 O 0.000 0.500 0.500
O4 O 0.500 0.500 0.246
# ΔE_f = -2.1954 eV per atom
# Excess energy over the best structure of this formula in the dataset = 0.067 eV per atom

=====

[2]
# Mg30SnBiO32, relaxed, DFT PBE
data_Mg30SnBiO32
_space_group_name_H-M_alt 'P 4/m m m'
_space_group_IT_number 123
_space_group_name_Hall '-P 4 2'
_cell_length_a 8.709
_cell_length_b 8.709
_cell_length_c 8.720
_cell_angle_alpha 90.00
_cell_angle_beta 90.00
_cell_angle_gamma 90.00
loop_
_atom_site_label
_atom_site_type_symbol
_atom_site_fract_x
_atom_site_fract_y
_atom_site_fract_z
Mg1 Mg 0.000 0.000 0.000
Mg2 Mg 0.000 0.253 0.244
Mg3 Mg 0.000 0.500 0.000
Mg4 Mg 0.000 0.500 0.500
Mg5 Mg 0.244 0.500 0.242
Mg6 Mg 0.247 0.247 0.500
Mg7 Mg 0.249 0.249 0.000
Mg8 Mg 0.500 0.500 0.000
Sn1 Sn 0.000 0.000 0.500
Bi1 Bi 0.500 0.500 0.500
O1 O 0.000 0.000 0.229
O2 O 0.000 0.253 0.000
O3 O 0.000 0.269 0.500
O4 O 0.000 0.500 0.244
O5 O 0.233 0.500 0.500
O6 O 0.247 0.500 0.000
O7 O 0.250 0.250 0.251
O8 O 0.500 0.500 0.229
# ΔE_f = -2.8246 eV per atom
# Excess energy over the best structure of this formula in the dataset = 0.000 eV per atom

=====

What is the excess energy over the best structure of this formula in the dataset in the first record?
0.067 eV per atom

=====

Which value of ΔE_f does entry 2 give?
-2.8246 eV per atom

=====

# r2SCAN ZrMnSi, relaxed
data_ZrMnSi
_space_group_name_H-M_alt 'P 1'
_space_group_IT_number 1
_space_group_name_Hall 'P 1'
_cell_length_a 3.805
_cell_length_b 6.674
_cell_length_c 7.718
_cell_angle_alpha 90.00
_cell_angle_beta 90.00
_cell_angle_gamma 90.00
loop_
_atom_site_label
_atom_site_type_symbol
_atom_site_fract_x
_atom_site_fract_y
_atom_site_fract_z
Zr1 Zr 0.250 0.532 0.676
Zr2 Zr 0.250 0.032 0.824
Zr3 Zr 0.750 0.968 0.176
Zr4 Zr 0.750 0.468 0.324
Mn1 Mn 0.750 0.366 0.942
Mn2 Mn 0.250 0.134 0.442
Mn3 Mn 0.750 0.866 0.558
Mn4 Mn 0.250 0.634 0.058
Si1 Si 0.250 0.262 0.127
Si2 Si 0.250 0.762 0.373
Si3 Si 0.750 0.738 0.873
Si4 Si 0.750 0.238 0.627
# - calculated total energy (eV/atom) = -16.20
# - DFT formation energy (eV per atom) = -0.80
# - symmetry = Pnma (62)
# - crystal system = orthorhombic
# - mass density (g/cm3) = 5.90
# - calculated volume (Å³/cell) = 196.0

---

# r2SCAN SnO2, relaxed
data_SnO2
_space_group_name_H-M_alt 'P 1'
_space_group_IT_number 1
_space_group_name_Hall 'P 1'
_cell_length_a 4.735
_cell_length_b 5.247
_cell_length_c 5.751
_cell_angle_alpha 90.00
_cell_angle_beta 90.00
*/
The page goes on:

2. Presentation

A 74-year-old woman presented with a 6-month history of bilateral lower extremity swelling and worsening dyspnea on exertion. She also reported some episodes of mild cough with scant hemoptysis over the same time course. She had no chest pain, orthopnea, or paroxysmal noctural dyspnea. She had no weight loss or fevers. She had no known exposure to any infectious diseases and had not traveled outside the United States. Her past medical history was only significant for noninsulin dependant diabetes and hypertension, both diagnosed within the past year, and a remote history of kidney stones. Her medications were Hydrochlorothiazide, Metformin, and Aspirin. She had never used tobacco and drank alcohol only occasionally.

She had presented to an outside hospital with these complaints approximately two weeks prior to admission to our facility. On her initial evaluation at the outside hospital, she underwent an echocardiogram and a cardiac catheterization, which were normal. She was discharged home but returned to the outside hospital within two weeks. On the second admission, she had a CT of her chest with contrast which showed a filling defect in the right ventricle that extended into the right pulmonary outflow tract, occlusions of bilateral segmental pulmonary arteries, a small to moderate pericardial effusion, and small bilateral pleural effusions. A follow-up echocardiogram confirmed a right ventricular mass. She was transferred to our facility for further workup and treatment.

On physical exam, the patient was afebrile, her blood pressure was 103/56, she had a pulse rate of 86 and a respiratory rate of 16, and her oxygen saturation was 96% on 2 liters of oxygen via nasal cannula. She was observed to be dyspneic on minimal exertion. Her jugular venous pulse was elevated to 12 cm of water. She had no heaves. She had a normal S1 and S2 with no S3 or S4 but did have a 3/6 holosystolic murmur at the left lower sternal border radiating to the right sternal border, which increased with inspiration. She had 1+ pitting edema in her lower extremities and good distal pulses. Her pulmonary, abdominal, and neurologic exams were normal. She had no petechiae or gingival bleeding. She had a Foley catheter in place which had been inserted upon admission; the urine was dark yellow with no hematuria noted. Significant labs upon admission were a sodium level of 132 mEq/L and an albumin of 3.0 mg/dL. Her creatinine was normal. Her hemoglobin was 10.9 gm/dL and hematocrit was 32%, with an MCV of 83.5 fL. Her platelet count was 54,000 cells/mcL; her platelet count the following morning dropped to 16,000 cells/mcL. She had a white cell count of 14,600 cells/mcL with 77% granulocytes. Her urinalysis, drawn from the Foley catheter, was found to have large numbers of squamous cells and a urobilinogen of 8 EU. The remainder of her urinalysis was normal. Her heparin-induced-thrombocytopenia (HIT) antibody panel was negative. Her EKG was notable for a right bundle branch block.

An echocardiogram performed on admission confirmed that the right ventricular mass, which extended into the right ventricular outflow tract, was attached to the septum, and had mobile components. Cardiothoracic surgery was consulted urgently for possible surgical assessment and/or removal of the mass; however, her thrombocytopenia made her perioperative mortality risk unacceptably high. An MRI showed a right ventricular avascular mass originating from the intraventricular septum, along with multiple nodular irregularities seen on the visceral pericardium and a moderate pericardial effusion (Figure 1). Other imaging studies included lower extremity Doppler ultrasounds showed no thromboses, and a CT of the abdomen and pelvis, did not show any masses suspicious of neoplasm or any lymphadenopathy.

Record 1
Material: Li2MnP2O8
Method: DFT, PBE with a Hubbard U
State: optimized geometry

For the total magnetic moment, the calculation gives 6.00 μB/cell. The MP2020-corrected energy comes out at -7.336 eV/atom. As for the calculated volume: 11.6 Å³/atom.

Cell lengths 4.822, 8.165, 8.832 Å; angles 115.68, 104.16, 90.05 degrees
Element x y z (fractional)
O 0.090 0.519 0.879
P 0.317 0.199 0.190
O 0.012 0.816 0.186
O 0.555 0.981 0.818
O 0.445 0.276 0.086
Li 0.366 0.593 0.398
O 0.463 0.295 0.787
O 0.445 0.019 0.182
O 0.911 0.481 0.121
Li 0.114 0.909 0.682
O 0.555 0.724 0.914
O 0.989 0.184 0.814
P 0.866 0.680 0.236
P 0.134 0.320 0.764
O 0.980 0.161 0.122
Li 0.886 0.091 0.318
O 0.607 0.661 0.621
Mn 0.725 0.236 0.961
O 0.393 0.339 0.378
O 0.985 0.268 0.573
O 0.020 0.839 0.878
P 0.683 0.801 0.810
Mn 0.275 0.764 0.039
O 0.015 0.732 0.427
Li 0.634 0.407 0.602
O 0.537 0.705 0.212



Record 2
Material: LiMnPO4
Method: DFT, PBE with a Hubbard U
State: optimized geometry

For the total magnetic moment, the calculation gives 30.00 μB/cell. The MP2020-corrected energy comes out at -7.747 eV/atom. As for the calculated volume: 13.2 Å³/atom.

Cell lengths 8.835, 8.835, 8.196 Å; angles 90.00, 90.00, 120.00 degrees
Element x y z (fractional)
O 0.069 0.221 0.516
O 0.270 0.418 0.176
O 0.909 0.486 0.005
Li 0.667 0.333 0.673
P 0.355 0.040 0.515
O 0.151 0.931 0.516
O 0.730 0.582 0.676
P 0.960 0.315 0.515
O 0.852 0.270 0.676
O 0.825 0.245 0.373
O 0.148 0.730 0.176
O 0.755 0.580 0.373
O 0.418 0.148 0.676
Li 0.000 0.000 0.107
O 0.582 0.852 0.176
O 0.420 0.175 0.373
Li 0.000 0.000 0.607
Mn 0.341 0.027 0.903
O 0.175 0.755 0.873
O 0.245 0.420 0.873
O 0.580 0.825 0.873
O 0.221 0.151 0.016
P 0.645 0.960 0.015
Li 0.667 0.333 0.189
O 0.422 0.909 0.505
P 0.315 0.355 0.015
Mn 0.659 0.973 0.403
Mn 0.973 0.314 0.903
O 0.779 0.849 0.516
Mn 0.314 0.341 0.403
Li 0.333 0.667 0.689
Mn 0.686 0.659 0.903
O 0.849 0.069 0.016
P 0.685 0.645 0.515
Mn 0.027 0.686 0.403
O 0.514 0.422 0.005
O 0.486 0.578 0.505
Li 0.333 0.667 0.173
O 0.578 0.091 0.005
P 0.040 0.685 0.015
O 0.091 0.514 0.505
O 0.931 0.779 0.016


Entry 1:
This record from the Materials Project database describes crystalline La3AlO6 at its relaxed geometry. The functional is r²SCAN.

Lattice parameters (Å, degrees): 9.355 11.763 5.630 90.00 90.00 90.00
Space group Cmc2_1 (No. 36)
Unique sites:
1 La 0.000 0.106 0.000 x4
2 La 0.193 0.392 0.964 x8
3 Al 0.000 0.307 0.424 x4
4 O 0.000 0.288 0.736 x4
5 O 0.000 0.449 0.312 x4
6 O 0.147 0.242 0.274 x8
7 O 0.159 0.011 0.729 x8

For the energy of formation from the pure elements, the calculation gives -36.8 eV per formula unit.


Entry 2:
This record from the Materials Project database describes crystalline LaAlO3 at its relaxed geometry. The functional is r²SCAN.

Lattice parameters (Å, degrees): 5.347 5.347 7.601 90.00 90.00 90.00
Space group I4/mcm (No. 140)
Unique sites:
1 La 0.000 0.500 0.250 x4
2 Al 0.000 0.000 0.000 x4
3 O 0.000 0.000 0.250 x4
4 O 0.223 0.277 0.000 x8
== Here the piece continues ==

The working diagnosis at this point was that the mass was a malignancy with potentially overlying thrombus. The decision was made to treat the patient with alteplase (recombinant tissue-type plasminogen activator, tPA) in the hopes of dissolving any potential clot, to be followed with a biopsy of any mass that remained. The patient was treated with tPA introduced through a catheter threaded into the right ventricle. A follow-up echocardiogram did not show any appreciable reduction in the size of the mass. A transvenous biopsy of the mass was subsequently performed under ultrasound guidance.

3. Diagnosis

The differential diagnosis of a ventricular mass includes tumors as well as “pseudotumors” such as thrombi or lipomas [4]. Tumors in the ventricle are most commonly benign and include myxomas, papillary elastomas, and lipomas [5]. When malignant, tumors are most likely to be metastatic in origin, spreading to the heart through direct extension via lymphatics or blood stream [1]. The most common metastatic tumors in the heart originate from common malignancies such as carcinoma of the lungs, breast, stomach, liver, and colon, as well as leukemias/lymphomas [1, 6]. Some rarer cancers, such as melanoma and renal cell carcinoma, also have a relatively high incidence due to their predilection for the heart; 30%–50% of melanoma patients will have cardiac metastases discovered at autopsy [6]. Overall, the reported incidence of cardiac metastases in those with known prior malignancies ranges from 2.3%–18.3%; many cases are asymptomatic and found at autopsy [1].

A typical approach to a cardiac mass in the endocardium involves imaging prior to surgical sampling. Transthoracic echocardiography can provide details of the mass such as location, shape, and mobility. Cardiac MR can be used to further characterize the mass and can distinguish between fat, fluid, or blood products, which can be helpful in distinguishing between various primary tumors. Tissue plane delineation is also better in CMR than TTE and can determine the exact attachment sites as well as any potential invasion [7]. For right-sided tumors, such as in this patient, a TEE-guided transvenous biopsy is recommended after imaging [6].

In our patient, the pathological diagnosis of the right ventricular mass was consistent with a metastatic squamous cell carcinoma of unknown primary site. A follow-up PET scan with 18F-FDG showed only the lesion in the right ventricle, a mildly hypermetabolic lymph node which was judged to be likely reactive, and a small hypermetabolic area of skin thickening over the right posterior shoulder which could not be clinically correlated with any lesion.

4. Management

Squamous cell carcinoma metastases to the endocardium are extremely rare and the treatment has not been clearly defined. In other cases of right ventricular tumors, surgery can improve prognosis in those with benign tumors or with primary malignant disease with no evidence of metastases [6]. In those with metastatic tumors that are symptomatic, palliative debulking can ease the symptoms, although it will not generally improve prognosis. Surgery should be performed urgently when the potential exists for catastrophic embolization [6]. Surgery is not recommended for those with wide-spread disease whose symptoms are minor. Our patient was not a surgical candidate due to her thrombocytopenia, so we began radiation in the hopes of symptomatic relief, with no expectation of cure. Unfortunately, her heart failure and thrombocytopenia continued to worsen, and she also developed renal failure. Twenty-five days after she was admitted to the hospital, she developed acute respiratory failure and, in accordance with her family’s wishes, it was not resuscitated. The family agreed to an autopsy.

Squamous cell carcinoma metastases to the endocardium/intraventricular cavity are rare. In the past 5 years, there have been 10 case reports of squamous cell carcinoma metastases in the right ventricle [2, 817]. Of these, 5 originated from the cervix [913]; others originated from the tongue [8], larynx [14], maxillary sinus [16], esophagus [17], and bladder [2]. Presentations typically included weight loss, heart failure, fatigue and dyspnea, and syncope. Several patients had pulmonary emboli at the time of presentation. Treatments ranged from surgical resection to radiation to chemotherapy. All of the cases had a known history of malignancy. Of the outcomes reported, all except one (in whom no follow-up was described) died within days to at most 5 months after presentation, regardless of therapy. In our patient, although no evidence of a primary lesion was found on PET scan or CT scan, at the time of autopsy, three 0.5 to 1.0 cm mucosal based papillary lesions were identified at the bladder base. On microscopic examination, these lesions were identified as moderately-differentiated squamous cell carcinoma, invasive to the level of the muscularis propria, arising in a background of extensive squamous metaplasia and dysplasia of the bladder urothelium (Figure 2).

The cardiac tumor mass identified within the right ventricle at the time of autopsy was 7 cm in the greatest dimension and had diffusely infiltrated into the septal wall and extended past the pulmonic valves (Figure 3).

Microscopic analysis showed well to moderately differentiated squamous cell carcinoma with extensive tumor necrosis. The morphology of the tumor cells was identical to the morphology those found in the bladder mucosa (Figure 4).

Her lungs contained multiple tumor emboli admixed with fibrin deposition at different stages of organization that were firmly adherent to the endothelial layer of the vessels. The largest pulmonary fresh embolus measured was 2.0 cm, and was likely the final cause of her demise.

Of the ten cases of squamous cell cancer with cardiac metastases discussed above, only one originated from the bladder [2]; in fact, in the past twenty years, there were only two case reports of squamous cell carcinoma in the heart that originated from the bladder [2, 3]. Both of the cases had known diagnoses of bladder cancer prior to presentation; ours is the first case report of heart failure presenting as the initial symptom. Both patients died shortly after presentation; one died of pulmonary compromise from the cardiac mass [2] and the other died of a massive pulmonary embolus and was only discovered to have cardiac metastases at autopsy [3].

5. Conclusion

First-principles (PBE-GGA) data for an optimized crystal structure of CeSe2, as listed in the Materials Project.

Unit cell a=15.348 b=15.348 c=15.348 alpha=125.15 beta=125.15 gamma=81.29
Sites, in units of the cell vectors:
Ce 0.069 0.291 0.977
Ce 0.092 0.069 0.279
Ce 0.187 0.908 0.477
Ce 0.209 0.431 0.523
Ce 0.291 0.813 0.221
Ce 0.313 0.791 0.721
Ce 0.408 0.687 0.977
Ce 0.431 0.408 0.221
Ce 0.569 0.592 0.779
Ce 0.592 0.313 0.023
Ce 0.687 0.209 0.279
Ce 0.709 0.187 0.779
Ce 0.791 0.569 0.477
Ce 0.813 0.092 0.523
Ce 0.908 0.931 0.721
Ce 0.931 0.709 0.023
Se 0.005 0.255 0.750
Se 0.038 0.250 0.288
Se 0.096 0.654 0.998
Se 0.098 0.096 0.942
Se 0.154 0.596 0.498
Se 0.156 0.098 0.502
Se 0.245 0.495 0.750
Se 0.250 0.462 0.212
Se 0.250 0.962 0.712
Se 0.255 0.005 0.250
Se 0.344 0.846 0.942
Se 0.346 0.844 0.442
Se 0.402 0.344 0.998
Se 0.404 0.402 0.558
Se 0.462 0.750 0.212
Se 0.495 0.245 0.250
Se 0.505 0.755 0.750
Se 0.538 0.250 0.788
Se 0.596 0.598 0.442
Se 0.598 0.656 0.002
Se 0.654 0.156 0.558
Se 0.656 0.154 0.058
Se 0.745 0.995 0.750
Se 0.750 0.038 0.288
Se 0.750 0.538 0.788
Se 0.755 0.505 0.250
Se 0.844 0.902 0.498
Se 0.846 0.404 0.502
Se 0.902 0.904 0.058
Se 0.904 0.346 0.002
Se 0.962 0.750 0.712
Se 0.995 0.745 0.250

Final energy: -5.404 eV/atom
E_form: -1.41 eV/atom

----------

A relaxed structure of ErAsO4. Source: Materials Project, functional GGA-PBE.

a b c (Å): 7.098 7.098 6.330
angles (deg): 90.00 90.00 90.00
Space group I4_1/amd (No. 141, origin choice 2)
Asymmetric unit:
Er 0.000 0.250 0.375
As 0.000 0.250 0.875
O 0.000 0.067 0.696

This report is the only reported case of a cardiac mass being the presenting symptom of metastatic squamous cell carcinoma of the bladder. This case also illustrates the difficulty of treating metastatic cardiac disease; surgery seems to be the preferred option but does not necessarily improve overall prognosis, although it may ease the symptoms. This patient presented with symptoms of right-sided heart failure from right ventricular outflow track obstruction, multiple bilateral tumor pulmonary emboli, and thrombocytopenia that was likely consumptive and unfortunately limited our treatment options. In this case, irradiation did seem to destroy a portion of the tumor as the final pathology showed extensive necrosis of the tumor; however, it did not improve her symptoms and did not change her final outcome.